It 103 Lesson 2
Inserted here: calculated crystals >
+++
Here is an optimized crystal structure of K3Cu2P4HO14 from the Materials Project. Energies are from PBE.

Values from the calculation:
Energy of formation from the pure elements   -2.32 eV per atom

a = 5.3230 Å, b = 5.6026 Å, c = 12.9055 Å
α = 90.51°, β = 100.16°, γ = 116.88°
Closest atoms and distances in Å follow each position.
Space group P-1 (No. 2)
Inequivalent atoms, fractional coordinates:
K 0.0000 0.0000 0.0000 x1  6 O 2.73-3.04, 2 H 2.86
K 0.2025 0.8486 0.5633 x2  9 O 2.78-3.06
Cu 0.0273 0.7729 0.2791 x2  4 O 1.97-2.01
P 0.4132 0.4702 0.3397 x2  4 O 1.52-1.63
P 0.4416 0.7088 0.1482 x2  4 O 1.53-1.63
H 0.5000 0.5000 0.0000 x1  2 O 1.21
O 0.2336 0.1125 0.8104 x2  1 P 1.54
O 0.2544 0.3756 0.6241 x2  1 P 1.55
O 0.2589 0.8448 0.1688 x2  1 P 1.53
O 0.2696 0.6375 0.3729 x2  1 P 1.55
O 0.2884 0.1884 0.3756 x2  1 P 1.52
O 0.3463 0.4391 0.2107 x2  2 P 1.63
O 0.3693 0.6062 0.0306 x2  1 H 1.21

Here is an optimized crystal structure of CoCu2SnSe4 from the Materials Project. Energies are from PBE.

Values from the calculation:
Energy of formation from the pure elements   -0.47 eV per atom

a = 5.7038 Å, b = 5.7038 Å, c = 11.2883 Å
α = 90.00°, β = 90.00°, γ = 90.00°
Closest atoms and distances in Å follow each position.
Space group I-42m (No. 121)
Inequivalent atoms, fractional coordinates:
Co 0.0000 0.0000 0.0000 x2  4 Se 2.37
Cu 0.0000 0.5000 0.2500 x4  4 Se 2.42
Sn 0.0000 0.0000 0.5000 x2  4 Se 2.65
Se 0.2286 0.2286 0.1324 x8  1 Co 2.37, 2 Cu 2.42, 1 Sn 2.65

Q: Which of these has the highest energy of formation from the pure elements?
A: CoCu2SnSe4


# MgSi5O10 GGA-PBE optimized geometry
data_MgSi5O10
_chemical_formula_sum 'Mg1 Si5 O10'
_symmetry_space_group_name_H-M 'P -4 m 2'
_symmetry_Int_Tables_number 115
_symmetry_space_group_name_Hall 'P -4 -2'
_cell_length_a 6.9591
_cell_length_b 6.9591
_cell_length_c 6.4728
_cell_angle_alpha 90.00
_cell_angle_beta 90.00
_cell_angle_gamma 90.00
loop_
_atom_site_label
_atom_site_fract_x
_atom_site_fract_y
_atom_site_fract_z
Mg1 0.0000 0.0000 0.0000
Si1 0.2306 0.5000 0.6192
Si2 0.5000 0.5000 0.0000
O1 0.0000 0.5000 0.6198
O2 0.3079 0.3079 0.5000
O3 0.3076 0.5000 0.8569
# total energy: -7.41 eV/atom


Below is an optimized crystal structure of Mn2SiRu, with properties calculated at the meta-GGA r2SCAN level.

CIF file:
```
data_Mn2SiRu
_cell_length_a 5.805
_cell_length_b 5.805
_cell_length_c 5.805
_cell_angle_alpha 90.00
_cell_angle_beta 90.00
_cell_angle_gamma 90.00
_symmetry_space_group_name_H-M 'P 1'
_symmetry_Int_Tables_number 1
loop_
_symmetry_equiv_pos_as_xyz
'x,y,z'
loop_
_atom_site_label
_atom_site_type_symbol
_atom_site_fract_x
_atom_site_fract_y
_atom_site_fract_z
Mn1 Mn 0.000 0.000 0.000
Mn2 Mn 0.000 0.500 0.500
Mn3 Mn 0.250 0.250 0.250
Mn4 Mn 0.250 0.750 0.750
Mn5 Mn 0.500 0.000 0.500
Mn6 Mn 0.500 0.500 0.000
Mn7 Mn 0.750 0.250 0.750
Mn8 Mn 0.750 0.750 0.250
Si1 Si 0.250 0.250 0.750
Si2 Si 0.250 0.750 0.250
Si3 Si 0.750 0.250 0.250
Si4 Si 0.750 0.750 0.750
Ru1 Ru 0.000 0.000 0.500
+++
It 103 Lesson 2
It 103 Lesson 2
Blackbox Testing
Whitebox Testing
5. Program Documentation
6. Maintenance
Stages of Program Development
1. Defining & Understanding the problem
– At this stage we list the information related
to the problem and the requirements from
the computer. It consist of identifying what
kind of input to expect, how the input is to
be processed and what kind of output is
Stages of Program Development
2. Planning/Develop the Solution– in developing
the solution we will need detailed plans. We will
need to specify what the program does by dividing it
into a set of well-defined and manageable chunks.
We will also need to detail the way in which these
chunks connect and what information each chunk
will need when it executes.
Tools in program logic formulation/Ways of
planning the solution
structure charts – used to designed the whole program
algorithm/pseudocode used to design the individual
parts of the program
Stages of Program Development
3. Implementation/Coding the Program –
After planning the solution, our next step is
to start writing the program codes. Coding is
the act of actual writing the computer
program. This stage requires an extensive
knowledge in the programming language to
be used.
Stages of Program Development
4. Testing/Running/Checking the program –
At this stage the programs are tested by running it
and observing the output it produce and the
programmer makes sure that the program
performs the way it is intended.
Debugging – is the process of finding and correcting
errors in the program, it means to detect, locate and
correct logical or syntax errors.
2 Types of Testing
Blackbox Testing– system test engineer & user
Whitebox Testing - programmer
Stages of Program Development
Two Types of Testing
1. Blackbox Testing – gets its name from the
concept of testing the program without
knowing what is inside it, without knowing
how it works. The test engineer uses
requirements and his knowledge systems
development and the user working
environment to create a test plan that will
be used to test the system as a whole.
Stages of Program Development
Two Types of Testing
2. Whitebox Testing – assumes that the
tester knows everything about the
program. The programmer knows exactly
what is going on inside the program. The
programmer makes sure that every
instruction and every possible situation has
been tested.
Stages of Program Development
5. Program Documentation – usually
includes the necessary information about the
requirements of the program – the operating
system and hardware requirements needed for
the program to run. Typical program
documentation includes the origin of the
problem, brief narrative description of the
program, logic tools, etc. It also contains
technical information such as who created the
program and who to contact, and instructions
on the use and maintenance of the program.
Stages of Program Development
6. Maintenance – is the final stage in
programming or updating the program. This
is where the programmer is tasked to keep
the program running smoothly and updated
with the development and changes in the
field where it is used.
Program Logic Formulation
It provides the tools needed to design the
right solution by helping you define and
identify the problem, its requirements and
the needed instructions.
Tools in program logic formulation
structure charts
Tools in program logic formulation
Algorithm – is a list of steps(similar to a
recipe) for solving a problem. Designing an
algorithm to solve a problem requires you to
write a step-by-step procedures and then
verify that it solves the problem as intended.
a typical algorithmic steps in solving a problem:
1. Read the data
2. Perform computations
3. Display the results
The price of apples per kilo is 50 pesos. If
the customer buys 3 or more kilos of apples,
5 pesos will be discounted for every kilo.
Determine the total cost of apples
1. Enter the number of Apples.
2. Compute the total cost of apples in pesos
3. Display the Total Cost of Apples in pesos.
The following are algorithmic refinements:
1. Enter the number of Apples.
1.1 Input quantity of apples purchased in kilos
2. Compute the total cost of apples in pesos
2.1 If quantity of apples is equal or more than 3
2.2 Compute cost of apples with discount
2.3 Compute cost of apples without discount
3. Display the Total Cost of Apples in pesos.
Tools in program logic formulation
Pseudocode –It is an English like
nonstandard language that lets you state your
solution with more precision than in plain
English. Algorithm refinements are also
expressed in pseudocode.
Pseudocode uses indentation and
often use the statements, if then and else to
show the logical structure of the algorithmic
Refined algorithmic steps expressed in Pseudocode:
1. Enter the number of Apples.
1.1 Input quantity of apples purchased in kilos
2. Compute the total cost of apples in pesos
2.1 If quantity of apples in kilos >= 3 kilos
2.2 Compute cost of apples with discount
### Misplaced data records
~~~
Record 1
DFT (PBE) results for a relaxed structure of Hf2OsRu.

Calculated values
space-group type	Fm-3m (225)
crystal system	cubic
ΔE_f	-0.77	eV/atom

Unit cell a=4.6040 b=4.6040 c=4.6040 alpha=60.00 beta=60.00 gamma=60.00
With the nearest neighbours (Å) after each atom.
Atoms (fractional coordinates):
Ru 0.0000 0.0000 0.0000  8 Hf 2.82
Hf 0.2500 0.2500 0.2500  4 Ru 2.82, 4 Os 2.82
Hf 0.7500 0.7500 0.7500  4 Os 2.82, 4 Ru 2.82
Os 0.5000 0.5000 0.5000  8 Hf 2.82

***

Record 2
DFT (PBE) results for a relaxed structure of NaBiTeO5.

Calculated values
space-group type	P2_1/c (14)
crystal system	monoclinic
ΔE_f	-1.73	eV/atom

Unit cell a=6.3575 b=7.3983 c=9.9129 alpha=90.00 beta=90.00 gamma=107.29
With the nearest neighbours (Å) after each atom.
Atoms (fractional coordinates):
O 0.8890 0.2229 0.9555  2 Te 2.01-2.03
O 0.3890 0.2229 0.5445  2 Te 2.01-2.03
O 0.6110 0.7771 0.4555  2 Te 2.01-2.03
O 0.3982 0.9026 0.6792  1 Te 1.95
O 0.8982 0.9026 0.8208  1 Te 1.95
O 0.3944 0.4600 0.3164  1 Te 1.93
O 0.1998 0.4919 0.5507  1 Te 1.96
O 0.6056 0.5400 0.6836  1 Te 1.93
O 0.7139 0.8656 0.0690  1 Te 1.92
O 0.8002 0.5081 0.4493  1 Te 1.96
O 0.1110 0.7771 0.0445  2 Te 2.01-2.03
O 0.8944 0.4600 0.1836  1 Te 1.93
O 0.7861 0.1344 0.5690  1 Te 1.92
O 0.1056 0.5400 0.8164  1 Te 1.93
O 0.6018 0.0974 0.3208  1 Te 1.95
O 0.6998 0.4919 0.9493  1 Te 1.96
O 0.3002 0.5081 0.0507  1 Te 1.96
O 0.2861 0.1344 0.9310  1 Te 1.92
O 0.1018 0.0974 0.1792  1 Te 1.95
O 0.2139 0.8656 0.4310  1 Te 1.92
Na 0.0984 0.2323 0.7176  6 O 2.40-2.63
Na 0.4016 0.7677 0.2176  6 O 2.40-2.63
Na 0.5984 0.2323 0.7824  6 O 2.40-2.63
Na 0.9016 0.7677 0.2824  6 O 2.40-2.63
Bi 0.9558 0.2902 0.3690  4 O 2.27-2.38
Bi 0.4558 0.2902 0.1310  4 O 2.27-2.38
Bi 0.5442 0.7098 0.8690  4 O 2.27-2.38
Bi 0.0442 0.7098 0.6310  4 O 2.27-2.38
Te 0.0000 0.5000 0.0000  6 O 1.93-2.01
Te 0.0000 0.0000 0.0000  6 O 1.92-2.03
Te 0.5000 0.0000 0.5000  6 O 1.92-2.03
Te 0.5000 0.5000 0.5000  6 O 1.93-2.01

***

Record 3
DFT (PBE) results for a relaxed structure of Nb4Co2PdSe12.

Calculated values
space-group type	C2/m (12)
crystal system	monoclinic
ΔE_f	-1.00	eV/atom

Unit cell a=6.9167 b=6.9167 c=19.3740 alpha=72.43 beta=72.43 gamma=28.77
With the nearest neighbours (Å) after each atom.
Atoms (fractional coordinates):
Nb 0.6204 0.6204 0.8511  6 Se 2.55-2.66
Nb 0.2566 0.2566 0.4047  6 Se 2.56-2.73
Nb 0.3796 0.3796 0.1489  6 Se 2.55-2.66
Nb 0.7434 0.7434 0.5953  6 Se 2.56-2.73
Se 0.8098 0.8098 0.0725  1 Pd 2.50, 2 Nb 2.62
Se 0.1902 0.1902 0.9275  1 Pd 2.50, 2 Nb 2.62
Se 0.3768 0.3768 0.6126  1 Co 2.36, 2 Nb 2.58
Se 0.8697 0.8697 0.4542  3 Nb 2.66-2.73
Se 0.1905 0.1905 0.2332  2 Co 2.40, 1 Nb 2.55
Se 0.8095 0.8095 0.7668  2 Co 2.40, 1 Nb 2.55
Se 0.1303 0.1303 0.5458  3 Nb 2.66-2.73
Se 0.9652 0.9652 0.8816  1 Pd 2.48, 2 Nb 2.62
Se 0.5998 0.5998 0.7189  2 Co 2.42, 2 Nb 2.56-2.66
Se 0.4002 0.4002 0.2811  2 Co 2.42, 2 Nb 2.56-2.66
Se 0.0348 0.0348 0.1184  1 Pd 2.48, 2 Nb 2.62
Se 0.6232 0.6232 0.3874  1 Co 2.36, 2 Nb 2.58
~~~
2.2.1 Compute for the Total Discounts
Total Discounts=Qty. of Apples in Kilos *Discount
Cost of Apples=(Qty. of Apples in Kilos*Amount of
Apples per kilo) – Total Discounts
2.3 Compute cost of apples without discount
Cost of Apples=Qty. of Apples in Kilos*Amount of Apples
per kilo
3. Display the Total Cost of Apples in pesos.
Tools in program logic formulation
Flowchart – is a diagrammatic or graphical
representation that illustrates the sequence of
operations to be performed to get the solution
of a problem.
Variable – memory cells used for storing a
program’s input data and its computational
results are called variables. It is the
representation of the idea that is changing.
Constant – named item used to specify a
name for a memory cell that will contain a
value that does not change. (fixed value)
Types of Flowchart
Program Flowchart – describes graphically in
detail the logical operations and steps within a
program and the sequence in which these steps
are to be executed for the transformation of
data to produce the needed output.
System Flowchart – portray the interaction
among data, hardware, and personnel. It
illustrates more on the components of the
Flowcharting Symbols
Input/Output Symbol
(Parallelogram) represents an
instruction to an input or output device.